What is needed: return the whole of the notes further below with every line break kept.

____________
(1)
ORCA calculation (wB97M-V/def2-TZVPD) on a molecular structure, C28H38CuN6O3S5.

LUMO energy (spin up / spin down)	0.365 / -1.051	eV
HOMO (spin up / spin down)	-6.824 / -6.848	eV

The geometry in ORCA input format:
```
! wB97M-V def2-TZVPD RIJCOSX def2/J DEFGRID3
* xyz 0 2
Cu -0.1413 2.4575 -1.3611
C -3.0470 1.0485 -0.9324
N -2.6937 1.3330 0.5079
C -3.8106 1.9468 1.2290
C -1.4236 1.4198 1.0177
N -0.4033 0.9398 0.3685
C 0.8510 0.7697 0.9653
C 1.0430 0.2170 2.2303
C 2.3169 -0.0427 2.7197
C 3.4236 0.2625 1.9389
C 3.2462 0.8129 0.6764
C 1.9717 1.0528 0.1641
N 1.7607 1.6737 -1.0774
C 2.6013 1.4328 -2.0541
N 3.1274 0.1880 -2.2791
C 2.3787 -0.9917 -1.8916
C 4.4953 -0.0302 -2.7012
N 2.9611 2.4321 -2.8971
C 3.2084 2.2207 -4.3140
C 2.7061 3.8141 -2.5148
N -1.3147 2.1013 2.2333
C -1.8951 1.5892 3.4555
C -0.2570 3.0812 2.4084
H -3.7796 0.2361 -0.9142
H -1.5798 -0.1192 -1.4703
H -3.0528 2.8777 -1.5225
H -4.6754 1.9434 0.5759
H -3.5931 2.9831 1.4914
H -4.0653 1.3929 2.1326
H 0.1712 -0.0177 2.8297
H 2.4431 -0.4715 3.7070
H 4.4250 0.0881 2.3135
H 4.1152 1.0787 0.0824
H 1.3380 -0.7210 -1.7312
H 2.7818 -1.4466 -0.9806
H 2.4213 -1.7237 -2.7026
H 5.0068 0.9215 -2.8223
H 4.5481 -0.5809 -3.6462
H 5.0251 -0.6126 -1.9387
H 3.1549 1.1633 -4.5535
H 4.1929 2.6033 -4.5957
H 2.4482 2.7434 -4.9009
H 2.7510 3.9060 -1.4336
H 1.7226 4.1509 -2.8476
H 3.4762 4.4409 -2.9687
H -2.4532 0.6744 3.2662
H -2.5608 2.3188 3.9283
H -1.0970 1.3459 4.1687
H 0.1197 3.3999 1.4364
H 0.5766 2.6965 3.0050
H -0.6730 3.9581 2.9126
S -0.2973 2.2178 -3.8569
S -1.0483 3.9048 -4.4554
S -0.9402 5.3074 -2.9184
S -1.3032 4.3541 -1.1429
O -1.0919 -1.8357 -1.2390
S -0.4581 -2.1839 0.0776
C -0.2706 -3.9650 0.0401
C 0.5889 -4.5659 0.9470
C 0.7300 -5.9463 0.9262
C 0.0285 -6.7012 -0.0052
C -0.8107 -6.0806 -0.9218
C -0.9644 -4.7013 -0.9064
C -1.7808 -2.1310 1.2889
C -3.0861 -2.0090 0.8451
C -4.1105 -1.9407 1.7803
C -3.8216 -2.0027 3.1371
C -2.5062 -2.1335 3.5671
C -1.4749 -2.1901 2.6408
H 1.1484 -3.9636 1.6558
H 1.3965 -6.4311 1.6289
H 0.1453 -7.7778 -0.0227
H -1.3462 -6.6720 -1.6544
H -1.5990 -4.1887 -1.6187
H -3.2820 -1.9613 -0.2197
H -5.1369 -1.8387 1.4478
H -4.6238 -1.9489 3.8633
H -2.2819 -2.1802 4.6261
H -0.4445 -2.2813 2.9674
O -1.9558 0.7484 -1.7169
O -3.6955 2.1395 -1.4746
*
```
____________

(1)
ORCA calculation (wB97M-V/def2-TZVPD) on a molecular structure, C28H38CuN6O3S5.

LUMO energy (spin up / spin down)	0.365 / -1.051	eV
HOMO (spin up / spin down)	-6.824 / -6.848	eV

The geometry in ORCA input format:
```
! wB97M-V def2-TZVPD RIJCOSX def2/J DEFGRID3
* xyz 0 2
Cu -0.1413 2.4575 -1.3611
C -3.0470 1.0485 -0.9324
N -2.6937 1.3330 0.5079
C -3.8106 1.9468 1.2290
C -1.4236 1.4198 1.0177
N -0.4033 0.9398 0.3685
C 0.8510 0.7697 0.9653
C 1.0430 0.2170 2.2303
C 2.3169 -0.0427 2.7197
C 3.4236 0.2625 1.9389
C 3.2462 0.8129 0.6764
C 1.9717 1.0528 0.1641
N 1.7607 1.6737 -1.0774
C 2.6013 1.4328 -2.0541
N 3.1274 0.1880 -2.2791
C 2.3787 -0.9917 -1.8916
C 4.4953 -0.0302 -2.7012
N 2.9611 2.4321 -2.8971
C 3.2084 2.2207 -4.3140
C 2.7061 3.8141 -2.5148
N -1.3147 2.1013 2.2333
C -1.8951 1.5892 3.4555
C -0.2570 3.0812 2.4084
H -3.7796 0.2361 -0.9142
H -1.5798 -0.1192 -1.4703
H -3.0528 2.8777 -1.5225
H -4.6754 1.9434 0.5759
H -3.5931 2.9831 1.4914
H -4.0653 1.3929 2.1326
H 0.1712 -0.0177 2.8297
H 2.4431 -0.4715 3.7070
H 4.4250 0.0881 2.3135
H 4.1152 1.0787 0.0824
H 1.3380 -0.7210 -1.7312
H 2.7818 -1.4466 -0.9806
H 2.4213 -1.7237 -2.7026
H 5.0068 0.9215 -2.8223
H 4.5481 -0.5809 -3.6462
H 5.0251 -0.6126 -1.9387
H 3.1549 1.1633 -4.5535
H 4.1929 2.6033 -4.5957
H 2.4482 2.7434 -4.9009
H 2.7510 3.9060 -1.4336
H 1.7226 4.1509 -2.8476
H 3.4762 4.4409 -2.9687
H -2.4532 0.6744 3.2662
H -2.5608 2.3188 3.9283
H -1.0970 1.3459 4.1687
H 0.1197 3.3999 1.4364
H 0.5766 2.6965 3.0050
H -0.6730 3.9581 2.9126
S -0.2973 2.2178 -3.8569
S -1.0483 3.9048 -4.4554
S -0.9402 5.3074 -2.9184
S -1.3032 4.3541 -1.1429
O -1.0919 -1.8357 -1.2390
S -0.4581 -2.1839 0.0776
C -0.2706 -3.9650 0.0401
C 0.5889 -4.5659 0.9470
C 0.7300 -5.9463 0.9262
C 0.0285 -6.7012 -0.0052
C -0.8107 -6.0806 -0.9218
C -0.9644 -4.7013 -0.9064
C -1.7808 -2.1310 1.2889
C -3.0861 -2.0090 0.8451
C -4.1105 -1.9407 1.7803
C -3.8216 -2.0027 3.1371
C -2.5062 -2.1335 3.5671
C -1.4749 -2.1901 2.6408
H 1.1484 -3.9636 1.6558
H 1.3965 -6.4311 1.6289
H 0.1453 -7.7778 -0.0227
H -1.3462 -6.6720 -1.6544
H -1.5990 -4.1887 -1.6187
H -3.2820 -1.9613 -0.2197
H -5.1369 -1.8387 1.4478
H -4.6238 -1.9489 3.8633
H -2.2819 -2.1802 4.6261
H -0.4445 -2.2813 2.9674
O -1.9558 0.7484 -1.7169
O -3.6955 2.1395 -1.4746
*
```